UK house price predictions for next 5 years: a landlord’s guide

July 23, 2023
[caption id="attachment_962" align="alignleft" width="612"]UK house price predictions for next 5 years: a landlord’s guide Home For Rent Sign in Front of Beautiful American Home[/caption]

As a landlord, it’s important to keep an eye on average house prices and whether they could go up or down in the future.

If average prices are rising, the future resale value of your property is likely to increase. If they’re falling it may not be a good time to sell, but it could be the right time to buy.

Read on to find out the latest on 2023 UK house prices, plus predictions for the next five years.

UK house prices 2023 – are house prices going down?

Since the global financial crisis in 2008, UK house price growth has been strong and consistent. This is due to demand for homes outstripping supply, which inflates house prices.

From 2020, as a result of the Covid-19 pandemic, average prices increased even quicker as the government introduced a stamp duty holiday and more people looked to relocate.

However, since late 2022, growth has slowed. A combination of economic uncertainty, a cost of living crisis, high interest rates, and rising inflation has made it harder for people to buy properties.

Lower demand has led to average property prices falling after more than 10 years of steady growth.

Here’s an overview of average house prices over the last four years from some of the main data providers:

Price index

Avg price June 2023

Avg price June 2022

Avg price June 2021

Avg price June 2020
















*Halifax and Nationwide figures are based on purchase prices from approved mortgages. Rightmove figures are based on asking prices for homes for sale

UK housing market predictions

At the start of 2023, many mortgage providers and property experts forecast that average house prices would fall significantly over the next 12 months.

The reasons for these negative forecasts included rising mortgage rates and a higher cost of living contributing towards lower demand from prospective buyers.

Here’s an overview of some of the 2023 house price predictions from leading market commentators:


2023 house price prediction

Lloyds Bank

7% fall (revised February 2023)


Up to 5% fall


6% fall


10% fall

Knight Frank

5% fall

Capital Economics

8.5% fall

Have these predictions come true?

As we can see from the table above, market commentators anticipated average house prices to fall in between five per cent and 10 per cent this year.

Looking at Nationwide’s House Price Index, the average UK property price was down 3.5 per cent year-on-year in June 2023. Meanwhile, Halifax’s data showed a year-on-year fall of 2.6 per cent in June 2023.

If prices continue to drop at the same rate during the second half of the year, then the predictions for an annual drop of between five per cent and 10 per cent could be proved right.

This article is intended as a guide. Always speak to a mortgage professional or property expert if you’re not sure of anything.

House price forecast 2023-2028 – will 2024 be a good year to buy a house?

Average prices have started to fall in 2023, but what could happen over the next five years?

The Office for Budget Responsibility (OBR) expects house prices to continue dropping as we go into next year, forecasting a 10 per cent fall by 2024.

Looking ahead to 2025, estate agency Savills predicts average house prices may start to recover if inflation continues to fall and the Bank of England reduces its base interest rate.

Savills predicts a bullish seven per cent house price rise in 2026, while the OBR suggests average prices could increase by 3.5 per cent in 2027.

On the other hand, Oxford Economics has predicted that UK house prices won’t return to their 2022 levels until 2028.

So, it looks like prices may start rising again over the next few years. However, growth could be slower than that witnessed between 2008 and 2022.

House price growth can be unpredictable

**What comes next are crystal structures, not part of the entry**
┌──
Entry 1:
A plane-wave DFT calculation with PBE was carried out for a geometry-optimized SrTi2Ge2 structure.

Computed properties:
The density of states at the Fermi level is 4.21 states/eV/f.u. As for the total energy: -0.2028 hartree per atom. The energy above the most stable polymorph in this dataset is 7.40 kcal/mol of atoms. The size of the total moment is 0.00 μB/f.u. As for the formation energy from the elements: -179 meV/atom.

a b c (Å): 4.9026 4.9026 9.8670
angles (deg): 90.00 90.00 90.00
Closest atoms and distances in Å follow each position.
Space group I4/mmm (No. 139)
Asymmetric unit:
Sr 0.0000 0.0000 0.0000 [2 per cell]  2 Ti 3.23, 8 Ge 3.48
Ti 0.0000 0.0000 0.3269 [4 per cell]  4 Ge 2.57
Ge 0.0000 0.5000 0.2500 [4 per cell]  4 Ti 2.57

***

Entry 2:
A plane-wave DFT calculation with PBE was carried out for a geometry-optimized SrTi2Ge2 structure.

Computed properties:
The density of states at the Fermi level is 3.84 states/eV/f.u. As for the total energy: -0.2073 hartree per atom. The energy above the most stable polymorph in this dataset is 4.64 kcal/mol of atoms. The size of the total moment is 0.37 μB/f.u. As for the formation energy from the elements: -298 meV/atom.

a b c (Å): 8.1132 8.1132 2.9272
angles (deg): 90.00 90.00 90.00
Closest atoms and distances in Å follow each position.
Space group P4/mbm (No. 127)
Asymmetric unit:
Sr 0.0000 0.0000 0.0000 [2 per cell]  2 Sr 2.93, 4 Ti 3.25
Ti 0.1170 0.3830 0.0000 [4 per cell]  3 Ti 2.68-2.93, 6 Ge 2.80-2.83
Ge 0.1719 0.6719 0.5000 [4 per cell]  6 Ti 2.80-2.83, 2 Ge 2.93

***

Entry 3:
A plane-wave DFT calculation with PBE was carried out for a geometry-optimized Sr2ZrTiGe structure.

Computed properties:
The density of states at the Fermi level is 6.21 states/eV/f.u. As for the total energy: -0.1430 hartree per atom. The size of the total moment is 0.00 μB/f.u. As for the formation energy from the elements: 992 meV/atom.

a b c (Å): 6.1260 6.1260 4.6808
angles (deg): 90.00 90.00 90.00
Closest atoms and distances in Å follow each position.
Space group P4/mmm (No. 123)
Asymmetric unit:
Sr 0.0000 0.5000 0.0000 [2 per cell]  2 Zr 3.06
Zr 0.0000 0.0000 0.0000 [1 per cell]  2 Ti 2.34
Ti 0.0000 0.0000 0.5000 [1 per cell]  2 Zr 2.34
Ge 0.5000 0.5000 0.5000 [1 per cell]  8 Sr 3.85

***

Entry 4:
A plane-wave DFT calculation with PBE was carried out for a geometry-optimized Sr2Tl3Ge2 structure.

Computed properties:
The density of states at the Fermi level is 3.70 states/eV/f.u. As for the total energy: -0.1157 hartree per atom. The energy above the most stable polymorph in this dataset is 0.46 kcal/mol of atoms. The size of the total moment is 0.00 μB/f.u. As for the formation energy from the elements: -334 meV/atom.

a b c (Å): 11.4831 4.8344 7.4519
angles (deg): 90.00 97.33 90.00
Closest atoms and distances in Å follow each position.
Space group C2/m (No. 12)
Asymmetric unit:
Sr 0.1238 0.0000 0.3293 [4 per cell]  5 Ge 3.28-3.49, 5 Tl 3.60-3.66
└──

When looking at future house prices, there are plenty of factors to consider. A growing population could fuel demand for homes, while an ongoing shortage of new properties could restrict supply. This could lead to average prices growing again.

Property remains a solid long-term investment for many people. And while it may be harder to buy than ever before, the majority of the population have aspirations to own their own home. This is in contrast to some European countries where lifelong renting is the norm.

In recent years it’s been very hard to predict what might happen in the next six months, let alone the next five years.

For example, no one could have predicted how a global pandemic would affect house prices, while last year’s ill-fated mini-Budget that caused mortgage rates to increase rapidly was also unexpected.

What is a house prices crash – and will there be a housing crash in 2024?

Recent house price drops and ongoing economic uncertainty have led to some speculation that a housing market crash could be on the horizon.

A house price crash is when average prices drop significantly and suddenly. During a crash, a large proportion of homeowners would have to sell for a lot less than they’d like. A crash, also known as a period of decline or readjustment, usually follows a house price bubble (a sustained period of strong growth).

The most recent house price crash happened in the aftermath of the financial crisis in 2008. The Office for National Statistics estimates that average prices dropped by 15 per cent between 2008 and 2009, with prices not returning to their pre-crisis levels until 2012.

Avoiding a market crash is largely dependent on mortgage rates. If they continue to rise rapidly, people could default on their mortgage repayments and buyers may not be able to afford a new mortgage. This could lead to eroding prices and a worst case scenario of negative equity, which is when a property is worth less than the remaining value of its mortgage.

When will mortgage rates go down?

Since September 2022, average mortgage rates have fluctuated. There have been several occasions when lenders have withdrawn products from the market, before reinstating them with higher rates.

Analysis by Barrows and Forrester shows that since the end of Q1 2023, buy-to-let mortgage rates have increased to 4.5 per cent.

Rising mortgage rates have been driven by high inflation and a Bank of England base interest rate that has increased on 13 consecutive occasions and now sits at five per cent.

Inflation peaked at 11 per cent in October 2022, up from 2.5 per cent in June 2021. By June 2023 inflation had dropped to 7.9 per cent.

If inflation continues to fall, then it’s expected that mortgage interest rates will also decrease. However, they’re unlikely to return to the record-low levels seen before 2022.

UK house prices: what do they mean for landlords?

As a landlord, you’ll always be affected by house price fluctuations whether you’re looking to buy, sell, or keep your portfolio the same size.

Here are some key things to consider in relation your rental property:

  • if average prices are rising, the value of your property could also rise which could benefit you if you come to sell in the future
  • if average prices are falling, the value of your property could also decrease. This means it could be a bad time to sell but a good time to buy
  • house prices go in cycles so keeping up to date can help landlords to make informed decisions when managing their portfolios
  • the price you buy a rental property for affects its yield – the higher the rental yield, the better the return on investment
  • mortgage rates and house prices are interlinked. High mortgage rates could impact the type of property you might be able to buy, plus how much your monthly repayments would be